## Brief
The reader should transcribe everything underneath exactly.

## Entries
~~~
(1)
# Ti5O9
Calculated PXRD pattern, CuKα. Input: a structure optimized by DFT (GGA-PBE).
Intensities are scaled so that the largest is 100.

Cell and atoms:
```
data_Ti5O9
_cell_length_a 5.620
_cell_length_b 7.183
_cell_length_c 8.556
_cell_angle_alpha 69.49
_cell_angle_beta 75.19
_cell_angle_gamma 71.31
_space_group_name_H-M_alt 'P -1'
_space_group_IT_number 2
loop_
_space_group_symop_operation_xyz
'x,y,z'
'-x,-y,-z'
loop_
_atom_site_label
_atom_site_fract_x
_atom_site_fract_y
_atom_site_fract_z
Ti1 0.000 0.000 0.000
Ti2 0.000 0.500 0.000
Ti3 0.278 0.174 0.575
Ti4 0.281 0.671 0.578
Ti5 0.345 0.659 0.205
Ti6 0.347 0.157 0.205
O1 0.021 0.691 0.761
O2 0.069 0.696 0.421
O3 0.083 0.696 0.081
O4 0.260 0.961 0.138
O5 0.284 0.989 0.797
O6 0.313 0.967 0.459
O7 0.374 0.351 0.978
O8 0.410 0.349 0.323
O9 0.415 0.368 0.633
```

Principal peaks in the range 15 to 90 degrees two-theta, by intensity:
- 53.11°, d 1.724, I = 100, (3 2 3)
- 30.41°, d 2.939, I = 99, (1 0 -2)
- 26.18°, d 3.404, I = 91, (1 2 1)
- 28.75°, d 3.105, I = 71, (1 2 2)
- 21.77°, d 4.082, I = 59, (1 0 -1)
- 34.18°, d 2.623, I = 57, (2 0 1)
- 35.55°, d 2.525, I = 47, (1 0 3)
- 35.99°, d 2.495, I = 40, (1 -2 0)
- 54.66°, d 1.679, I = 37, (1 4 0)
- 55.44°, d 1.657, I = 37, (2 4 3)

(2)
# Ti11O18
Calculated PXRD pattern, CuKα. Input: a structure optimized by DFT (GGA-PBE).
Intensities are scaled so that the largest is 100.

Cell and atoms:
```
data_Ti11O18
_cell_length_a 5.524
_cell_length_b 7.508
_cell_length_c 8.798
_cell_angle_alpha 113.06
_cell_angle_beta 105.41
_cell_angle_gamma 96.34
_space_group_name_H-M_alt 'P 1'
_space_group_IT_number 1
loop_
_space_group_symop_operation_xyz
'x,y,z'
loop_
_atom_site_label
_atom_site_fract_x
_atom_site_fract_y
_atom_site_fract_z
Ti1 0.000 0.000 0.000
Ti2 0.000 0.496 0.995
Ti3 0.274 0.858 0.345
Ti4 0.279 0.368 0.334
Ti5 0.330 0.332 0.661
Ti6 0.598 0.177 0.980
Ti7 0.603 0.690 0.989
Ti8 0.660 0.662 0.327
Ti9 0.661 0.165 0.330
Ti10 0.950 0.016 0.667
Ti11 0.957 0.540 0.664
O1 0.007 0.304 0.104
O2 0.030 0.329 0.454
O3 0.034 0.320 0.766
O4 0.228 0.044 0.553
O5 0.236 0.045 0.881
O6 0.264 0.053 0.229
O7 0.334 0.627 0.777
O8 0.351 0.647 0.412
O9 0.366 0.660 0.121
O10 0.573 0.363 0.223
O11 0.578 0.368 0.539
O12 0.598 0.388 0.892
O13 0.679 0.969 0.436
O14 0.696 0.990 0.100
O15 0.728 0.011 0.798
O16 0.905 0.718 0.555
O17 0.906 0.698 0.893
O18 0.906 0.700 0.203
```

Principal peaks in the range 15 to 90 degrees two-theta, by intensity:
- 32.64°, d 2.743, I = 100, (-1 2 1)
- 53.22°, d 1.721, I = 90, (3 0 -3)
- 35.30°, d 2.542, I = 80, (1 2 -3)
- 23.86°, d 3.729, I = 76, (1 0 1)
- 40.38°, d 2.234, I = 49, (2 1 -3)
- 48.84°, d 1.865, I = 39, (2 0 -4)
- 63.33°, d 1.469, I = 33, (2 4 -3)
- 70.45°, d 1.337, I = 17, (-4 2 1)
- 53.28°, d 1.719, I = 17, (-2 2 3)
- 61.64°, d 1.505, I = 16, (0 4 1)

(3)
# TiO2
Calculated PXRD pattern, CuKα. Input: a structure optimized by DFT (GGA-PBE).
Intensities are scaled so that the largest is 100.

Cell and atoms:
```
data_TiO2
_cell_length_a 9.002
_cell_length_b 2.989
_cell_length_c 10.778
_cell_angle_alpha 90.00
_cell_angle_beta 90.00
_cell_angle_gamma 90.00
_space_group_name_H-M_alt 'P n m a'
_space_group_IT_number 62
loop_
_space_group_symop_operation_xyz
'x,y,z'
'-x,-y,-z'
'-x+1/2,-y,z+1/2'
'x+1/2,y,-z+1/2'
'x+1/2,-y+1/2,-z+1/2'
'-x+1/2,y+1/2,z+1/2'
'-x,y+1/2,-z'
'x,-y+1/2,z'
loop_
_atom_site_label
_atom_site_fract_x
_atom_site_fract_y
_atom_site_fract_z
Ti1 0.050 0.250 0.118
Ti2 0.090 0.250 0.601
O1 0.029 0.750 0.717
O2 0.074 0.250 0.928
O3 0.113 0.750 0.488
O4 0.201 0.750 0.140
```

Principal peaks in the range 15 to 90 degrees two-theta, by intensity:
- 19.72°, d 4.501, I = 100, (2 0 0)
- 19.20°, d 4.624, I = 94, (1 0 2)
- 35.77°, d 2.510, I = 57, (1 1 2)
- 62.08°, d 1.495, I = 40, (0 2 0)
- 34.20°, d 2.622, I = 32, (3 0 2)
- 49.87°, d 1.829, I = 30, (2 1 4)
- 33.25°, d 2.694, I = 28, (0 0 4)
- 50.79°, d 1.798, I = 25, (4 1 0)
- 16.45°, d 5.389, I = 21, (0 0 2)
- 36.07°, d 2.490, I = 20, (2 1 0)

(4)
# TiO2
~~~

## Outcome
(1)
# Ti5O9
Calculated PXRD pattern, CuKα. Input: a structure optimized by DFT (GGA-PBE).
Intensities are scaled so that the largest is 100.

Cell and atoms:
```
data_Ti5O9
_cell_length_a 5.620
_cell_length_b 7.183
_cell_length_c 8.556
_cell_angle_alpha 69.49
_cell_angle_beta 75.19
_cell_angle_gamma 71.31
_space_group_name_H-M_alt 'P -1'
_space_group_IT_number 2
loop_
_space_group_symop_operation_xyz
'x,y,z'
'-x,-y,-z'
loop_
_atom_site_label
_atom_site_fract_x
_atom_site_fract_y
_atom_site_fract_z
Ti1 0.000 0.000 0.000
Ti2 0.000 0.500 0.000
Ti3 0.278 0.174 0.575
Ti4 0.281 0.671 0.578
Ti5 0.345 0.659 0.205
Ti6 0.347 0.157 0.205
O1 0.021 0.691 0.761
O2 0.069 0.696 0.421
O3 0.083 0.696 0.081
O4 0.260 0.961 0.138
O5 0.284 0.989 0.797
O6 0.313 0.967 0.459
O7 0.374 0.351 0.978
O8 0.410 0.349 0.323
O9 0.415 0.368 0.633
```

Principal peaks in the range 15 to 90 degrees two-theta, by intensity:
- 53.11°, d 1.724, I = 100, (3 2 3)
- 30.41°, d 2.939, I = 99, (1 0 -2)
- 26.18°, d 3.404, I = 91, (1 2 1)
- 28.75°, d 3.105, I = 71, (1 2 2)
- 21.77°, d 4.082, I = 59, (1 0 -1)
- 34.18°, d 2.623, I = 57, (2 0 1)
- 35.55°, d 2.525, I = 47, (1 0 3)
- 35.99°, d 2.495, I = 40, (1 -2 0)
- 54.66°, d 1.679, I = 37, (1 4 0)
- 55.44°, d 1.657, I = 37, (2 4 3)

(2)
# Ti11O18
Calculated PXRD pattern, CuKα. Input: a structure optimized by DFT (GGA-PBE).
Intensities are scaled so that the largest is 100.

Cell and atoms:
```
data_Ti11O18
_cell_length_a 5.524
_cell_length_b 7.508
_cell_length_c 8.798
_cell_angle_alpha 113.06
_cell_angle_beta 105.41
_cell_angle_gamma 96.34
_space_group_name_H-M_alt 'P 1'
_space_group_IT_number 1
loop_
_space_group_symop_operation_xyz
'x,y,z'
loop_
_atom_site_label
_atom_site_fract_x
_atom_site_fract_y
_atom_site_fract_z
Ti1 0.000 0.000 0.000
Ti2 0.000 0.496 0.995
Ti3 0.274 0.858 0.345
Ti4 0.279 0.368 0.334
Ti5 0.330 0.332 0.661
Ti6 0.598 0.177 0.980
Ti7 0.603 0.690 0.989
Ti8 0.660 0.662 0.327
Ti9 0.661 0.165 0.330
Ti10 0.950 0.016 0.667
Ti11 0.957 0.540 0.664
O1 0.007 0.304 0.104
O2 0.030 0.329 0.454
O3 0.034 0.320 0.766
O4 0.228 0.044 0.553
O5 0.236 0.045 0.881
O6 0.264 0.053 0.229
O7 0.334 0.627 0.777
O8 0.351 0.647 0.412
O9 0.366 0.660 0.121
O10 0.573 0.363 0.223
O11 0.578 0.368 0.539
O12 0.598 0.388 0.892
O13 0.679 0.969 0.436
O14 0.696 0.990 0.100
O15 0.728 0.011 0.798
O16 0.905 0.718 0.555
O17 0.906 0.698 0.893
O18 0.906 0.700 0.203
```

Principal peaks in the range 15 to 90 degrees two-theta, by intensity:
- 32.64°, d 2.743, I = 100, (-1 2 1)
- 53.22°, d 1.721, I = 90, (3 0 -3)
- 35.30°, d 2.542, I = 80, (1 2 -3)
- 23.86°, d 3.729, I = 76, (1 0 1)
- 40.38°, d 2.234, I = 49, (2 1 -3)
- 48.84°, d 1.865, I = 39, (2 0 -4)
- 63.33°, d 1.469, I = 33, (2 4 -3)
- 70.45°, d 1.337, I = 17, (-4 2 1)
- 53.28°, d 1.719, I = 17, (-2 2 3)
- 61.64°, d 1.505, I = 16, (0 4 1)

(3)
# TiO2
Calculated PXRD pattern, CuKα. Input: a structure optimized by DFT (GGA-PBE).
Intensities are scaled so that the largest is 100.

Cell and atoms:
```
data_TiO2
_cell_length_a 9.002
_cell_length_b 2.989
_cell_length_c 10.778
_cell_angle_alpha 90.00
_cell_angle_beta 90.00
_cell_angle_gamma 90.00
_space_group_name_H-M_alt 'P n m a'
_space_group_IT_number 62
loop_
_space_group_symop_operation_xyz
'x,y,z'
'-x,-y,-z'
'-x+1/2,-y,z+1/2'
'x+1/2,y,-z+1/2'
'x+1/2,-y+1/2,-z+1/2'
'-x+1/2,y+1/2,z+1/2'
'-x,y+1/2,-z'
'x,-y+1/2,z'
loop_
_atom_site_label
_atom_site_fract_x
_atom_site_fract_y
_atom_site_fract_z
Ti1 0.050 0.250 0.118
Ti2 0.090 0.250 0.601
O1 0.029 0.750 0.717
O2 0.074 0.250 0.928
O3 0.113 0.750 0.488
O4 0.201 0.750 0.140
```

Principal peaks in the range 15 to 90 degrees two-theta, by intensity:
- 19.72°, d 4.501, I = 100, (2 0 0)
- 19.20°, d 4.624, I = 94, (1 0 2)
- 35.77°, d 2.510, I = 57, (1 1 2)
- 62.08°, d 1.495, I = 40, (0 2 0)
- 34.20°, d 2.622, I = 32, (3 0 2)
- 49.87°, d 1.829, I = 30, (2 1 4)
- 33.25°, d 2.694, I = 28, (0 0 4)
- 50.79°, d 1.798, I = 25, (4 1 0)
- 16.45°, d 5.389, I = 21, (0 0 2)
- 36.07°, d 2.490, I = 20, (2 1 0)

(4)
# TiO2